To do.
Quote the lines underneath from the one with "0.9658" to the one with "0.9368" character by character, please.
Source.
<<<
1.
Theoretical powder diffraction line list of Na3ZrTaSi3O12 for copper Kα, from DFT lattice parameters and positions (GGA-PBE).
Intensities are scaled so that the largest is 1000.

Cell and atoms:
abc: 9.1694 9.1694 9.1472
angles: 119.75 119.75 60.10
Fractional positions:
1 Na 0.0571 0.9429 0.5000
2 Na 0.2020 0.4214 0.9519
3 Na 0.3380 0.7939 0.2052
4 Na 0.4214 0.2020 0.4519
5 Na 0.7939 0.3380 0.7052
6 Na 0.9429 0.0571 0.0000
7 Zr 0.1688 0.6677 0.7743
8 Zr 0.6677 0.1688 0.2743
9 Ta 0.4587 0.9512 0.6410
10 Ta 0.9512 0.4587 0.1410
11 Si 0.0660 0.2675 0.4632
12 Si 0.2675 0.0660 0.9632
13 Si 0.3474 0.5673 0.4504
14 Si 0.5673 0.3474 0.9504
15 Si 0.7658 0.8473 0.4605
16 Si 0.8473 0.7658 0.9605
17 O 0.0262 0.3087 0.2846
18 O 0.0324 0.7367 0.9480
19 O 0.0828 0.2437 0.9658
20 O 0.1157 0.4300 0.6419
21 O 0.1748 0.5201 0.2690
22 O 0.2285 0.9076 0.9573
23 O 0.2437 0.0828 0.4658
24 O 0.2973 0.6160 0.6197
25 O 0.3087 0.0262 0.7846
26 O 0.3580 0.7488 0.4644
27 O 0.3988 0.5319 0.9516
28 O 0.4300 0.1157 0.1419
29 O 0.5201 0.1748 0.7690
30 O 0.5319 0.3988 0.4516
31 O 0.5794 0.8670 0.4655
32 O 0.6160 0.2973 0.1197
33 O 0.6693 0.8184 0.7882
34 O 0.7367 0.0324 0.4480
35 O 0.7488 0.3580 0.9644
36 O 0.8184 0.6693 0.2882
37 O 0.8219 0.9329 0.1394
38 O 0.8670 0.5794 0.9655
39 O 0.9076 0.2285 0.4573
40 O 0.9329 0.8219 0.6394

Most intense lines, 10° ≤ 2θ ≤ 90°, low angle first:
13.65 deg, I 226; 19.35 deg, I 1000; 27.50 deg, I 237; 30.77 deg, I 295; 30.90 deg, I 151; 33.82 deg, I 310; 33.91 deg, I 143; 44.16 deg, I 103; 46.34 deg, I 109; 52.73 deg, I 131

=====

2.
Theoretical powder diffraction line list of NaTbSi2O6 for copper Kα, from DFT lattice parameters and positions (GGA-PBE).
Intensities are scaled so that the largest is 1000.

Cell and atoms:
abc: 5.5496 9.4747 9.8095
angles: 117.23 97.25 99.82
Fractional positions:
1 Na 0.0000 0.0000 0.0000
2 Na 0.1706 0.5990 0.9320
3 Na 0.8294 0.4010 0.0680
4 Tb 0.0000 0.5000 0.5000
5 Tb 0.3191 0.7789 0.3612
6 Tb 0.6809 0.2211 0.6388
7 Si 0.1062 0.1216 0.3710
8 Si 0.2245 0.2330 0.8758
9 Si 0.3900 0.3627 0.2523
10 Si 0.6100 0.6373 0.7477
11 Si 0.7755 0.7670 0.1242
12 Si 0.8938 0.8784 0.6290
13 O 0.0191 0.3201 0.8384
14 O 0.0403 0.7574 0.5131
15 O 0.0966 0.0314 0.7876
16 O 0.2464 0.2762 0.0632
17 O 0.2598 0.2240 0.2967
18 O 0.2904 0.5258 0.3503
19 O 0.3011 0.0533 0.4491
20 O 0.3105 0.6092 0.7213
21 O 0.4949 0.2752 0.8413
22 O 0.5051 0.7248 0.1587
23 O 0.6895 0.3908 0.2787
24 O 0.6989 0.9467 0.5509
25 O 0.7096 0.4742 0.6497
26 O 0.7402 0.7760 0.7033
27 O 0.7536 0.7238 0.9368
28 O 0.9034 0.9686 0.2124
29 O 0.9597 0.2426 0.4869
30 O 0.9809 0.6799 0.1616

Most intense lines, 10° ≤ 2θ ≤ 90°, low angle first:
10.43 deg, I 1000; 17.45 deg, I 262; 19.56 deg, I 425; 21.07 deg, I 235; 21.67 deg, I 291; 23.36 deg, I 335; 29.24 deg, I 448; 29.85 deg, I 477; 30.16 deg, I 405; 36.34 deg, I 235

=====

3.
Theoretical powder diffraction line list of NaTbSi2O6 for copper Kα, from DFT lattice parameters and positions (GGA-PBE).
Intensities are scaled so that the largest is 1000.

Cell and atoms:
abc: 5.4836 13.9039 7.6987
angles: 90.00 110.03 90.00
Fractional positions:
1 Na 0.1388 0.2317 0.0433
2 Na 0.1388 0.2683 0.5433
3 Na 0.8612 0.7317 0.4567
4 Na 0.8612 0.7683 0.9567
5 Tb 0.0177 0.5055 0.7521
6 Tb 0.0177 0.9945 0.2521
7 Tb 0.9823 0.0055 0.7479
8 Tb 0.9823 0.4945 0.2479
9 Si 0.4184 0.6384 0.0676
10 Si 0.4184 0.8616 0.5676
11 Si 0.4276 0.6398 0.6443
12 Si 0.4276 0.8602 0.1443
13 Si 0.5724 0.1398 0.8557
14 Si 0.5724 0.3602 0.3557
15 Si 0.5816 0.1384 0.4324
16 Si 0.5816 0.3616 0.9324
17 O 0.2006 0.5633 0.0815
18 O 0.2006 0.9367 0.5815
19 O 0.2104 0.5658 0.5181
20 O 0.2104 0.9342 0.0181
21 O 0.2693 0.1335 0.8311
22 O 0.2693 0.3665 0.3311
23 O 0.2842 0.1259 0.3026
24 O 0.2842 0.3741 0.8026
25 O 0.3150 0.7497 0.0799
26 O 0.3150 0.7503 0.5799
27 O 0.3838 0.6225 0.8457
28 O 0.3838 0.8775 0.3457
29 O 0.6162 0.1225 0.6543
30 O 0.6162 0.3775 0.1543
31 O 0.6850 0.2497 0.4201
32 O 0.6850 0.2503 0.9201
33 O 0.7158 0.6259 0.1974
>>>
Solution.
19 O 0.0828 0.2437 0.9658
20 O 0.1157 0.4300 0.6419
21 O 0.1748 0.5201 0.2690
22 O 0.2285 0.9076 0.9573
23 O 0.2437 0.0828 0.4658
24 O 0.2973 0.6160 0.6197
25 O 0.3087 0.0262 0.7846
26 O 0.3580 0.7488 0.4644
27 O 0.3988 0.5319 0.9516
28 O 0.4300 0.1157 0.1419
29 O 0.5201 0.1748 0.7690
30 O 0.5319 0.3988 0.4516
31 O 0.5794 0.8670 0.4655
32 O 0.6160 0.2973 0.1197
33 O 0.6693 0.8184 0.7882
34 O 0.7367 0.0324 0.4480
35 O 0.7488 0.3580 0.9644
36 O 0.8184 0.6693 0.2882
37 O 0.8219 0.9329 0.1394
38 O 0.8670 0.5794 0.9655
39 O 0.9076 0.2285 0.4573
40 O 0.9329 0.8219 0.6394

Most intense lines, 10° ≤ 2θ ≤ 90°, low angle first:
13.65 deg, I 226; 19.35 deg, I 1000; 27.50 deg, I 237; 30.77 deg, I 295; 30.90 deg, I 151; 33.82 deg, I 310; 33.91 deg, I 143; 44.16 deg, I 103; 46.34 deg, I 109; 52.73 deg, I 131

=====

2.
Theoretical powder diffraction line list of NaTbSi2O6 for copper Kα, from DFT lattice parameters and positions (GGA-PBE).
Intensities are scaled so that the largest is 1000.

Cell and atoms:
abc: 5.5496 9.4747 9.8095
angles: 117.23 97.25 99.82
Fractional positions:
1 Na 0.0000 0.0000 0.0000
2 Na 0.1706 0.5990 0.9320
3 Na 0.8294 0.4010 0.0680
4 Tb 0.0000 0.5000 0.5000
5 Tb 0.3191 0.7789 0.3612
6 Tb 0.6809 0.2211 0.6388
7 Si 0.1062 0.1216 0.3710
8 Si 0.2245 0.2330 0.8758
9 Si 0.3900 0.3627 0.2523
10 Si 0.6100 0.6373 0.7477
11 Si 0.7755 0.7670 0.1242
12 Si 0.8938 0.8784 0.6290
13 O 0.0191 0.3201 0.8384
14 O 0.0403 0.7574 0.5131
15 O 0.0966 0.0314 0.7876
16 O 0.2464 0.2762 0.0632
17 O 0.2598 0.2240 0.2967
18 O 0.2904 0.5258 0.3503
19 O 0.3011 0.0533 0.4491
20 O 0.3105 0.6092 0.7213
21 O 0.4949 0.2752 0.8413
22 O 0.5051 0.7248 0.1587
23 O 0.6895 0.3908 0.2787
24 O 0.6989 0.9467 0.5509
25 O 0.7096 0.4742 0.6497
26 O 0.7402 0.7760 0.7033
27 O 0.7536 0.7238 0.9368